News about the digital world

Showing: 11 - 20 of 21 RESULTS
Entiende un poco más sobre Cosme y Damian.

Understand a little more about Cosme and Damian.

~~~
Record 1
Computed, not measured: crystalline NdSmY2Th at its relaxed geometry at the PBE-GGA level of DFT.

Cell: 6.5388 8.6631 6.3306 Å, 99.59 90.00 90.00°
Fractional coordinates of all 10 atoms:
Nd 0.1696 0.5000 0.7500
Nd 0.8304 0.5000 0.2500
Sm 0.0000 0.0000 0.0000
Sm 0.0000 0.0000 0.5000
Y 0.6803 0.6886 0.8011
Y 0.6803 0.3114 0.6989
Y 0.3197 0.6886 0.3011
Y 0.3197 0.3114 0.1989
Th 0.5546 0.0000 0.2500
Th 0.4454 0.0000 0.7500

Calculated values
Formation energy from the elements = 30 kJ per mole of atoms

Record 2
Computed, not measured: crystalline SmHo3Al8 at its relaxed geometry at the PBE-GGA level of DFT.

Cell: 5.5600 5.5600 9.6751 Å, 73.30 73.30 60.00°
Fractional coordinates of all 12 atoms:
Sm 0.8750 0.8750 0.3750
Ho 0.3754 0.3754 0.8738
Ho 0.0000 0.0000 0.9999
Ho 0.4995 0.4995 0.5016
Al 0.9385 0.4380 0.1855
Al 0.4364 0.9371 0.6894
Al 0.4380 0.4380 0.1855
Al 0.9371 0.9371 0.6894
Al 0.1873 0.1873 0.4382
Al 0.6877 0.6877 0.9370
Al 0.4380 0.9385 0.1855
Al 0.9371 0.4364 0.6894

Calculated values
Formation energy from the elements = -49 kJ per mole of atoms
Energy above the lowest structure with this stoichiometry = 0 meV/atom

Record 3
Computed, not measured: crystalline Rb2As2Br7 at its relaxed geometry at the PBE-GGA level of DFT.

Cell: 5.0661 10.0187 10.0187 Å, 117.69 96.16 96.16°
Fractional coordinates of all 11 atoms:
Rb 0.0000 0.2910 0.7090
Rb 0.0000 0.7090 0.2910
As 0.3290 0.2262 0.2262
As 0.6710 0.7738 0.7738
Br 0.6972 0.9128 0.6039
Br 0.3028 0.3961 0.0872
Br 0.3028 0.0872 0.3961
Br 0.6972 0.6039 0.9128
Br 0.5000 0.0000 0.0000
Br 0.2297 0.6357 0.6357
Br 0.7703 0.3643 0.3643

Calculated values
Raw formation energy = -0.816 eV per atom

Number 1: E -5.654 eV per atom. Number 2: E -4.544 eV per atom. Number 3: E -2.902 eV per atom.

=====

(1)
A PBEsol-optimized structure of KTaHg2. Source: Alexandria, functional SCAN.

Summary:
- space group = Cmmm, No. 65
- offset from the most stable computed form (meV per atom) = 43
- energy relative to the elements (eV/atom) = 0.32

Unit cell a=2.887 b=5.464 c=5.464 alpha=90.10 beta=90.00 gamma=90.00
Fractional positions:
Hg 0.000 0.500 0.000
Ta 0.500 0.000 0.000
Hg 0.000 0.000 0.500
K 0.500 0.500 0.500

***

(2)
A PBEsol-optimized structure of Si3Sb. Source: Alexandria, functional SCAN.

Summary:
- space group = I4/mmm, No. 139

Unit cell a=3.631 b=3.631 c=11.506 alpha=99.08 beta=99.08 gamma=90.00
Fractional positions:
Si 0.250 0.750 0.500
Si 0.500 0.000 0.000
Si 0.172 0.172 0.343
Si 0.750 0.250 0.500
Sb 0.604 0.604 0.208
Si 0.828 0.828 0.657
Sb 0.396 0.396 0.792
Si 0.000 0.500 0.000

***

(3)
A PBEsol-optimized structure of Hf2CdP2. Source: Alexandria, functional SCAN.

Summary:
- space group = I4/mmm, No. 139
- energy relative to the elements (eV/atom) = -0.50

Unit cell a=3.439 b=3.439 c=7.889 alpha=102.59 beta=102.59 gamma=90.00
Fractional positions:
Hf 0.619 0.619 0.238
P 0.250 0.750 0.500
P 0.750 0.250 0.500
Hf 0.381 0.381 0.762
Cd 0.000 0.000 0.000

***
~~~

First, do you know who Cosme and Damian were? If the answer is no, continue with this post and we will explain it to you. So we're going to tell you a little more about the story that it has. Cosme and Damián were twin brothers, born…

Curiosidades sobre la antigua civilización de Grecia.

Curiosities about the ancient civilization of Greece.

We know that this Greek civilization has served as an inspiration for designers and artists until today. We are in the midst of a Hellenistic Renaissance, a great fascination with the marvelous aesthetics of Antigua Greece. For example, columns…

(The text is interrupted by crystal structures)
# PBE ZnAsPb2, relaxed
data_ZnAsPb2
_space_group_name_H-M_alt 'P 1'
_space_group_IT_number 1
_cell_length_a 4.697
_cell_length_b 3.964
_cell_length_c 6.022
_cell_angle_alpha 90.00
_cell_angle_beta 112.89
_cell_angle_gamma 90.00
loop_
_space_group_symop_operation_xyz
'x,y,z'
loop_
_atom_site_label
_atom_site_fract_x
_atom_site_fract_y
_atom_site_fract_z
_atom_site_occupancy
Zn1 0.000 0.000 0.000 1
As1 0.862 0.500 0.706 1
Pb1 0.276 0.000 0.538 1
Pb2 0.584 0.500 0.162 1
# E_form: 0.031 eV per atom
# total energy: -13.2 eV/f.u.

***

# PBE PuMg2TaN4, relaxed
data_PuMg2TaN4
_space_group_name_H-M_alt 'P 1'
_space_group_IT_number 1
_cell_length_a 5.514
_cell_length_b 3.220
_cell_length_c 5.650
_cell_angle_alpha 90.00
_cell_angle_beta 109.89
_cell_angle_gamma 90.00
loop_
_space_group_symop_operation_xyz
'x,y,z'
loop_
_atom_site_label
_atom_site_fract_x
_atom_site_fract_y
_atom_site_fract_z
_atom_site_occupancy
Pu1 0.000 0.000 0.000 1
Mg1 0.500 0.000 0.500 1
Mg2 0.500 0.500 0.000 1
Ta1 0.000 0.500 0.500 1
N1 0.239 0.000 0.734 1
N2 0.242 0.500 0.271 1
N3 0.758 0.500 0.729 1
N4 0.761 0.000 0.266 1
# total energy: -70.9 eV/f.u.

***

# PBE H6OsF12, relaxed
data_H6OsF12
_space_group_name_H-M_alt 'P 1'
_space_group_IT_number 1
_cell_length_a 6.458
_cell_length_b 6.458
_cell_length_c 6.458
_cell_angle_alpha 104.23
_cell_angle_beta 104.23
_cell_angle_gamma 104.23
loop_
_space_group_symop_operation_xyz
'x,y,z'
loop_
_atom_site_label
_atom_site_fract_x
_atom_site_fract_y
_atom_site_fract_z
_atom_site_occupancy
H1 0.039 0.781 0.180 1
H2 0.180 0.039 0.781 1
H3 0.219 0.820 0.961 1
H4 0.781 0.180 0.039 1
H5 0.820 0.961 0.219 1
H6 0.961 0.219 0.820 1
Os1 0.500 0.500 0.500 1
F1 0.064 0.183 0.732 1
F2 0.183 0.732 0.064 1
F3 0.196 0.481 0.415 1
F4 0.268 0.936 0.817 1
F5 0.415 0.196 0.481 1
F6 0.481 0.415 0.196 1
F7 0.519 0.585 0.804 1
F8 0.585 0.804 0.519 1
F9 0.732 0.064 0.183 1
F10 0.804 0.519 0.585 1
F11 0.817 0.268 0.936 1
F12 0.936 0.817 0.268 1
# total energy: -84.8 eV/f.u.

***

# PBE SmEuGa2, relaxed
data_SmEuGa2
_space_group_name_H-M_alt 'P 1'
_space_group_IT_number 1
_cell_length_a 3.710
_cell_length_b 3.710
_cell_length_c 7.389
_cell_angle_alpha 90.00
_cell_angle_beta 90.00
_cell_angle_gamma 90.00
loop_
_space_group_symop_operation_xyz
'x,y,z'
loop_
_atom_site_label
_atom_site_fract_x
_atom_site_fract_y
_atom_site_fract_z
_atom_site_occupancy
Sm1 0.000 0.000 0.000 1
Eu1 0.000 0.000 0.500 1
Ga1 0.500 0.500 0.236 1
Ga2 0.500 0.500 0.764 1
# E_form: -0.513 eV per atom
# total energy: -23.1 eV/f.u.

***

# PBE PuAg2Au2, relaxed
data_PuAg2Au2
_space_group_name_H-M_alt 'P 1'
_space_group_IT_number 1
_cell_length_a 7.339
_cell_length_b 7.339
_cell_length_c 7.339
_cell_angle_alpha 148.15
_cell_angle_beta 148.15
_cell_angle_gamma 45.66
loop_
_space_group_symop_operation_xyz
'x,y,z'
loop_
_atom_site_label
_atom_site_fract_x
_atom_site_fract_y
_atom_site_fract_z
_atom_site_occupancy
Pu1 0.000 0.000 0.000 1
Ag1 0.250 0.750 0.500 1
Ag2 0.750 0.250 0.500 1

Sin límites: the famous Spanish miniseries.

Spanish miniseries, starring Rodrigo Santoro and Álvaro Morte (known worldwide as Profesor, in the series La Casa de Papel). Along with renowned director Simon West, starring in films such as Los mercenarios, Lara Croft among others. The new miniseries narrates…

Las rutas migratorias más peligrosas del mundo.

The most dangerous migratory routes in the world.

Unfortunately, we know that many deaths occur due to migratory routes that take countless people. Since 2014, the International Organization for Migration (IOM), an agency owned by the UN, has estimated the death or disappearance of some 50,000 migrants...

Famosas corridas de toros prohibidas, entiéndelo.

Famous bullfights are prohibited, understand.

The Federal Chamber of Mexico decided on June 10, 2022 to prohibit concerts in the Plaza Mayor, famous bullfighting races. This surprising decision was made on issues related to the fight against animal abuse. According to…

Bolsa de valores de EUA: Comprenda.

US Stock Exchange: Buy.

To begin with, during the pandemic the stock market managed to obtain surreal gains, but do you know what happened with the Stock Exchange? However, 2022 brings a year full of good news, including those inverters that are working all …

Vuelo Alto: Película exitosa en Netflix.

Vuelo Alto: Successful film on Netflix.

Vuelo Alto, one of the most watched films currently on Netflix, tells the story of a professional basketball player. The comic actor Adam Sandler resorted to his favorite sport, counting on the participation of numerous real players, like this …

Val d'Aran, conoce este hermoso pueblo en Francia.

Val d'Aran, know this beautiful village in France.

[Between two parts of the page: data records]
........
1.
Entry from the Alexandria database: crystalline YTeSeN2 at its relaxed geometry (GGA-PBE).

**Energy**: -5.478 eV per atom
**Offset from the most stable computed form**: 0 meV per atom
**Symmetry**: No. 123
**Spin magnetization**: 0.000 μB/f.u.
**Formation energy from raw total energies**: 470 meV per atom
**Density of states at the Fermi level**: 2.76 states/eV/cell

Lattice parameters (Å, degrees): 4.164 4.164 5.326 90.00 90.00 90.00
Fractional positions:
1 Y 0.000 0.000 0.000
2 Te 0.500 0.500 0.500
3 Se 0.500 0.500 0.000
4 N 0.000 0.500 0.500
5 N 0.500 0.000 0.500

=====

2.
Entry from the Alexandria database: crystalline Re2RhSe at its relaxed geometry (GGA-PBE).

**Energy**: -8.751 eV per atom
**Symmetry**: No. 99
**Spin magnetization**: 0.000 μB/f.u.
**Formation energy from raw total energies**: 182 meV per atom
**Density of states at the Fermi level**: 3.16 states/eV/cell

Lattice parameters (Å, degrees): 2.901 2.901 7.244 90.00 90.00 90.00
Fractional positions:
1 Re 0.000 0.000 0.000
2 Re 0.500 0.500 0.246
3 Rh 0.000 0.000 0.498
4 Se 0.500 0.500 0.767

=====

3.
Entry from the Alexandria database: crystalline TbTh2Zr at its relaxed geometry (GGA-PBE).

**Energy**: -6.914 eV per atom
**Offset from the most stable computed form**: 0 meV per atom
**Symmetry**: No. 123
**Spin magnetization**: 0.000 μB/f.u.
**Density of states at the Fermi level**: 5.88 states/eV/cell
**E_form**: 0.090 eV per atom

Lattice parameters (Å, degrees): 3.483 3.483 9.844 90.00 90.00 90.00
Fractional positions:
1 Tb 0.000 0.000 0.000
2 Th 0.500 0.500 0.264
3 Th 0.500 0.500 0.736
4 Zr 0.000 0.000 0.500

=====

4.
Entry from the Alexandria database: crystalline LaTl2Cr at its relaxed geometry (GGA-PBE).

**Energy**: -4.738 eV per atom
**Symmetry**: No. 123
**Spin magnetization**: 3.560 μB/f.u.
**Density of states at the Fermi level**: 3.27 states/eV/cell
**E_form**: 0.083 eV per atom

Lattice parameters (Å, degrees): 3.659 3.659 7.649 90.00 90.00 90.00
Fractional positions:
1 La 0.000 0.000 0.000
2 Tl 0.500 0.500 0.292
3 Tl 0.500 0.500 0.708
4 Cr 0.000 0.000 0.500

=====

5.
Entry from the Alexandria database: crystalline GdScCoRh at its relaxed geometry (GGA-PBE).

**Energy**: -9.224 eV per atom
**Symmetry**: No. 216
**Spin magnetization**: 6.497 μB/f.u.
**Density of states at the Fermi level**: 8.20 states/eV/cell
**E_form**: -0.507 eV per atom

Lattice parameters (Å, degrees): 6.618 6.618 6.618 90.00 90.00 90.00
Fractional positions:
1 Gd 0.000 0.000 0.000
2 Gd 0.000 0.500 0.500
3 Gd 0.500 0.000 0.500
4 Gd 0.500 0.500 0.000
5 Sc 0.000 0.000 0.500
6 Sc 0.000 0.500 0.000
7 Sc 0.500 0.000 0.000
8 Sc 0.500 0.500 0.500
9 Co 0.250 0.250 0.250
10 Co 0.250 0.750 0.750
11 Co 0.750 0.250 0.750
12 Co 0.750 0.750 0.250
13 Rh 0.250 0.250 0.750
14 Rh 0.250 0.750 0.250
15 Rh 0.750 0.250 0.250
16 Rh 0.750 0.750 0.750

=====

6.
Entry from the Alexandria database: crystalline SbPdS at its relaxed geometry (GGA-PBE).

**Energy**: -4.739 eV per atom
**Symmetry**: No. 156
........

Firstly, we have to know that geographically speaking, the small mountain valley of Val d'Aran should be in France. But it is the only community within the contiguous borders of Spain that is located on the northern slope of …